The Breitbart event was filled with several speakers, including Breitbart’s Community Liaison Dustin Stockton, Second Amendment “journalist of the year” AWR Hawkins and Breitbart Texas’ Managing Director Brandon Darby. Just as Darby finished his comments, the microphone was cut off and audio for a baseball game blared over the PA system. Then a police helicopter showed up.
For the first 45 minutes of the pre-organized event conservatives networked while ordering food and drinks. There was already a great sense of camaraderie among the crowd when Breitbart’s Community Liaison Dustin Stockton began the program by asking God to steer the conversation towards solutions that would combat the agents of greed and corruption that infest our government and media.
Inserted here: records of molecules >
Entry 1:
71
Properties=species:S:1:pos:R:3 method="wB97M-V/def2-TZVPD" gap_ev="3.78 / 3.86" total_charge=+3
Tl -0.5248 0.2816 -0.9523
P 1.4340 -0.8622 1.6036
P 1.3490 2.3952 -0.3872
P -1.2105 -2.3831 -0.7553
H -0.5236 2.6530 -7.6792
C -1.4199 2.0673 -7.4869
C -2.3610 2.5191 -6.6561
H -2.3258 3.5549 -6.3092
C 2.9157 -1.8312 1.0906
C 2.2414 0.3473 2.7358
C 0.6665 -2.0246 2.8139
C 0.7425 3.6341 -1.6297
C 1.5410 3.5405 1.0061
C 3.0589 2.1880 -1.0560
C -2.5837 -2.3087 -1.9762
C -2.1323 -3.1399 0.6537
C -0.1036 -3.7035 -1.4050
H -1.6046 1.1675 -8.0724
H -3.2253 1.8974 -6.4048
H 3.5035 -2.1462 1.9648
H 3.5383 -1.1970 0.4446
H 2.5954 -2.7127 0.5190
H 3.0257 -0.1431 3.3280
H 1.4990 0.7965 3.4101
H 2.6990 1.1515 2.1444
H 1.2830 -2.9253 2.9451
H -0.3242 -2.3306 2.4498
H 0.5320 -1.5403 3.7906
H 1.2100 4.6010 -1.3714
H -0.3560 3.6837 -1.5470
H 1.0199 3.3185 -2.6490
H 2.4167 4.1774 0.8340
H 1.6583 3.0093 1.9554
H 0.6461 4.1737 1.0707
H 3.5404 3.1812 -1.0758
H 2.9863 1.7766 -2.0793
H 3.6247 1.4961 -0.4077
H -3.1590 -3.2433 -1.8793
H -2.1990 -2.1965 -3.0018
H -3.2297 -1.4485 -1.7266
H -2.9238 -3.7835 0.2302
H -2.6007 -2.3437 1.2628
H -1.4577 -3.7418 1.2863
H -0.7227 -4.5153 -1.8152
H 0.5350 -4.0751 -0.5862
H 0.5266 -3.2636 -2.1966
C -1.5159 1.2107 -4.0254
C -0.2425 0.7195 -4.4974
C -0.1930 -0.4769 -5.2002
C -1.3859 -1.1270 -5.5626
C -2.6279 -0.5201 -5.2989
C -2.7223 0.6763 -4.6233
O -1.5969 2.0747 -3.0927
H 0.5814 0.1525 -2.5198
H 0.5939 1.3461 -4.1607
H 0.7889 -0.9043 -5.4228
H -1.3673 -2.0569 -6.1338
H -3.5076 -0.9791 -5.7422
H -3.5969 1.3440 -4.6442
C -2.1886 2.2628 4.2626
N -2.2547 1.5431 2.9920
C -3.3670 0.8742 2.4796
C -2.9981 0.4198 1.2404
N -1.6913 0.7867 0.9921
C -1.2812 1.4532 2.0741
H -3.2030 2.2105 4.6788
H -1.4705 1.8225 4.9764
H -1.8813 3.3186 4.1498
H -4.2931 0.7688 3.0273
H -3.5626 -0.1363 0.5109
H -0.3099 1.8803 2.2113

Entry 2:
71
Properties=species:S:1:pos:R:3 method="wB97M-V/def2-TZVPD" multiplicity=5 gap_ev="7.36 / 2.52" total_charge=+4
Pd -1.3307 -0.5262 -0.2633
P -1.9083 -2.7070 0.5894
P -1.2710 0.7868 1.6509
P 3.8040 -0.6408 2.0066
H 2.3989 2.0115 -5.2056
C 3.0962 1.2014 -4.9623
C 2.7680 -0.0784 -5.1584
H 1.7646 -0.3511 -5.5030
C -3.3434 -3.3670 -0.3378
C -2.4521 -2.8707 2.3454
C -0.7046 -4.1100 0.5530
C -0.5049 2.4340 1.5449
C -2.9478 1.0223 2.3088
C -0.3288 -0.0223 2.9835
C 5.2705 -1.1232 1.0710
C 3.0725 -2.0047 2.9278
C 4.0187 0.8673 2.9757
H 4.0827 1.4866 -4.5885
H 3.5192 -0.8644 -5.0561
H -3.3071 -2.9440 -1.3533
H -4.2840 -3.0491 0.1379
H -3.3212 -4.4656 -0.4039
H -3.0371 -2.0028 2.6782
H -1.5804 -2.9696 3.0113
H -3.0751 -3.7687 2.4750
H -0.3141 -4.2679 -0.4599
H -1.1694 -5.0502 0.8986
H 0.1501 -3.8956 1.2107
H -0.7855 3.0326 2.4282
H -0.8357 2.9550 0.6388
H 0.5891 2.3427 1.5121
H -2.8959 1.4901 3.3003
H -3.4786 0.0648 2.3930
H -3.5188 1.6737 1.6344
H -0.4909 0.5178 3.9315
H 0.7459 -0.0071 2.7383
H -0.6463 -1.0678 3.1095
H 6.0916 -1.4105 1.7468
H 5.5876 -0.2933 0.4163
H 4.9706 -1.9734 0.4365
H 3.7525 -2.2417 3.7615
Second Amendment “journalist of the year” AWR Hawkins gave the first speech of the evening. He spoke with the enthusiastic attendees about guns, and the American tradition of freedom. AWR passed the microphone to Breitbart Texas’ Managing Director Brandon Darby who captivated the crowd with his extensive knowledge of border issues.
Just as Darby finished his remarks and opened the stage for Q&A, the microphone was suddenly cut off and the audio of the Mets/Cubs game began to blare over the PA system. The attendees began to realize that instead of a technical issue, the management at K O’Donnell’s had purposefully cut off the microphone. Once again, PC culture was trying to silence a peaceful group of people concerned about the direction of the country.
No longer welcome, the large Breitbart crowd began paying their bills and congregating just outside the establishment. Before most of the crowd could conclude their business with the venue, both Phoenix and Scottsdale police departments arrived on the scene and a police helicopter began circling overhead shining a spotlight on the crowd. A PA system on the chopper began to demand that the crowd disperse.
“It was outrageous,” one of the attendees, Kris Hall, told Breitbart News. “They (K O’Donnell’s) had a packed house on a Wednesday night and they were willing to anger all of us because they got a couple of complaints about the very respectful things the Breitbart team was talking about, Give me a break!”
Much of the group walked across the parking lot to the Scottsdale Gun Club where there was a lot of conversation and disbelief over what had just transpired. “I can’t figure out why they would do that,” one person was heard saying. “They (K O’Donnell’s) are a gun friendly bar, you’d think they wouldn’t have a problem with the message.”
**Unrelated to this entry: data records:**
'''
The following is a quantum chemistry calculation of a molecular structure, C32H56BeBrCl4F2IN3O7S, from the Open Molecules 2025 dataset.

Geometry as ORCA input:
```
! RIJCOSX wB97M-V def2-TZVPD def2/J DEFGRID3
* xyz 1 1
H 8.30433 4.50757 -0.29828
H 0.96109 -0.45333 -4.33186
H 2.69810 -3.59341 -5.95010
C -2.77285 2.71440 -0.52691
C -4.75748 -1.90771 -2.82578
C -2.42482 1.10204 4.19385
C 0.34932 -2.34936 -0.02357
C 2.35744 -3.33533 -4.95634
C 5.64981 -0.47553 -0.88525
H -6.76725 1.64571 1.15310
H 1.24207 -2.89134 -0.29704
O 0.89893 -3.17681 2.11399
H 0.32290 1.41757 1.93768
H -3.13058 1.91169 -1.16903
H -6.43263 2.86579 -0.12880
C 0.22727 0.35162 1.77211
C 2.62949 0.90636 2.35804
H -1.13534 3.12761 0.75322
H 3.23624 -3.05540 -4.37330
O 4.44105 -5.45201 -5.48512
H 4.40448 1.32945 3.36018
C -7.09953 -1.39493 0.37078
H -5.69286 1.27859 -1.64219
C 0.48459 -0.71710 -1.81802
O -8.10699 -1.64732 1.26725
H -0.49276 -2.63701 -0.64231
H -4.61190 -1.91843 -1.74845
C -0.57395 1.39774 -0.35012
N -6.37531 -3.01438 1.61993
O -1.25624 -2.78090 1.79662
H 1.72009 -2.52117 -2.25730
H -2.01477 1.71668 1.25814
Cl 3.79367 -2.34929 0.74929
H 2.78379 1.72320 1.64181
H 0.36039 1.94815 -0.43922
H 0.99243 0.20293 -2.07806
H 1.89379 -4.21527 -4.51431
Be -10.27014 -1.75765 0.23798
O -3.21681 -0.13112 -2.63018
C 0.03956 -2.79482 1.41128
H -2.36120 3.47375 -1.19071
S -7.36554 -0.16704 -0.81808
H -0.51564 1.91378 3.74427
H 3.03276 -1.52499 -1.26412
H 4.65831 0.15101 2.11200
C -3.88264 -0.77436 -3.46317
H 4.28754 0.76091 0.25142
C -0.57738 -0.15211 2.99319
C 0.98787 -1.85703 -2.70615
C -7.57992 -2.68452 2.00259
Br 6.32281 7.38034 -0.52594
C -1.63969 2.23609 0.38170
H 0.14789 -2.47890 -3.00432
Cl 7.92371 2.45863 0.78622
H -0.93341 1.23814 -1.35944
O 1.45394 -2.24334 -5.05888
Cl 3.67820 0.99085 -1.97150
Cl 4.76810 3.53927 0.05458
C 1.56238 -1.30783 -4.03047
H -2.93279 0.14559 4.20132
C 6.23942 4.49409 0.21630
H 5.37400 -5.34828 -5.27249
N -6.06821 -2.17869 0.53911
H 0.00363 -0.91936 3.49661
O -3.99718 -0.68670 -4.68406
H -0.57277 -0.60608 -1.99212
N 0.61841 -0.88608 -0.30402
H 4.84088 -0.86385 4.37286
H -5.03773 0.24758 -0.40006
H 5.98825 -1.23412 -0.19179
H 1.99198 0.61179 -0.15884
H -5.80104 -1.69968 -3.05307
C -0.36151 0.06702 0.38795
H 5.68806 -0.82499 -1.91116
H -1.71196 -3.56842 1.46655
H 7.33499 3.41163 -1.29504
F 1.93000 1.45442 3.43147
H -3.36826 4.04136 1.00073
C 1.71500 -0.14542 1.73774
H 6.06167 5.43407 -0.43306
H 1.77144 -1.02940 2.36360
C 4.26830 0.03930 -0.55194
C 1.93055 -0.39962 0.24977
H 3.41836 -1.54522 3.59963
H -4.19585 1.51790 1.35908
I -2.90939 2.09614 6.02172
C -6.06887 1.98954 0.39945
C 3.19982 -1.03666 -0.31310
H -2.86222 1.71740 3.41658
H 3.25283 -0.25010 4.79200
F -1.56913 -0.56718 0.42236
C 7.47501 3.80353 -0.29105
C 3.86052 -0.62745 3.97549
H 6.34698 0.35670 -0.81832
H 2.60304 -1.02083 -3.87727
H -0.51360 0.66740 4.99353
H 4.26068 -6.38152 -5.31148
H -5.06101 2.90779 2.02926
H 6.33563 4.80609 1.25080
C -0.91562 0.94495 4.02628
'''
Several attendees posted negative reviews on Yelp, which were later reported to have been taken down. This is another example of how liberals feel the need to silence anybody who doesn’t agree with them. Why is it that liberals will stand around and watch people destroy American cities for the sake of racial “equality”, but when people gather around to discuss how to better America, the cops are called? This is what America has become, a place of bullying by the left. It’s time that Conservatives had their voices heard.
Proof that it’s the liberals with the knee jerk reactions.
== Inserted here: molecular data ==
- - -
P.
C4H2OS | ωB97M-V with the def2-TZVPD basis set

ORCA input file:
```
! RIJCOSX wB97M-V def2-TZVPD def2/J DEFGRID3
* xyz 0 1
S 2.0981 -1.6034 1.7368
O -1.8101 1.8945 -1.5182
C -0.4575 0.4164 -0.3033
C -1.1181 1.6792 -0.5428
C 0.1691 -0.5488 0.0359
C 1.0983 -1.6593 0.4223
H 0.9821 -2.5343 -0.1618
H -0.9619 2.3557 0.3311
*
```

Properties
HOMO, Ha: -0.354
SMILES: O=CC#CC=S


Q.
C4H2OS | ωB97M-V with the def2-TZVPD basis set

ORCA input file:
```
! RIJCOSX wB97M-V def2-TZVPD def2/J DEFGRID3
* xyz 0 1
S 2.8358 0.0373 0.0058
O 0.4342 1.0697 -0.0503
C 0.4320 -1.1339 -0.0564
C 1.2577 -0.0654 -0.0272
C -0.9201 -0.6891 -0.0041
C -0.7999 0.6650 0.0261
H -1.8352 -1.3961 -0.1339
H -1.4046 1.5125 0.2399
*
```

Properties
HOMO (spin up / spin down), Ha: -0.317 / -0.322


R.
C4H2OS | ωB97M-V with the def2-TZVPD basis set

ORCA input file:
```
! RIJCOSX wB97M-V def2-TZVPD def2/J DEFGRID3
* xyz 0 1
S 0.3591 0.6150 2.5043
O 1.4682 0.2445 -1.1191
C -0.8354 -0.0856 -0.5597
C -1.9101 -0.4916 -0.9340
C 1.1142 0.3052 1.0607
C 0.5037 0.0358 -0.2825
H 2.2154 0.2367 1.0037
H -2.9152 -0.8599 -1.6734
*
```

Properties
HOMO, Ha: -0.343
SMILES: C#CC(=O)C=S


Quick one: most stable of them? P


P.
C6H9NS | ωB97M-V with the def2-TZVPD basis set

ORCA input file:
```
! RIJCOSX wB97M-V def2-TZVPD def2/J DEFGRID3
* xyz 0 1
S 1.5365 -2.0780 -0.4573
N -2.0389 -1.2093 -1.7276
C -0.0317 -1.8437 0.2877
C 0.9468 -1.0271 0.9846
C -1.0194 0.7471 -0.6194
C 0.4678 0.8946 -0.5674
C 1.0441 0.4472 0.7541
C -1.2557 -0.6674 -0.9536
H -1.9151 -2.1833 -1.9725
H -0.4322 -2.8126 0.4425
H 0.5546 1.9686 -0.6950
H 0.6569 1.0904 1.5042
H -1.6005 1.5140 -1.1142
H 0.9335 0.3116 -1.3398
H 2.1965 0.7216 0.7409
H 1.1984 -1.1926 1.9879
H -1.2305 0.8978 0.4896
*
```

Properties
HOMO, Ha: -0.286


Q.
C6H9NS | ωB97M-V with the def2-TZVPD basis set

ORCA input file:
```
! RIJCOSX wB97M-V def2-TZVPD def2/J DEFGRID3
* xyz 0 1
S -0.3418 2.3594 -0.5844
N 2.0386 0.2644 -1.3756
C -1.5576 -0.1414 -0.0486
C 0.0387 -1.2218 1.3431
C -1.2233 -1.3470 0.8400
C 0.7228 -0.0929 0.6942
C 0.8273 -0.1964 -0.7984
C -0.3041 0.6192 -0.2607
H 1.6145 0.4864 1.1176
H -2.4527 0.3528 0.3844
H 2.4995 1.0014 -0.7375
H 1.9034 0.6435 -2.2578
H -0.6165 2.7406 0.7302
H 0.3729 -1.9048 2.1213
H -2.0159 -0.4090 -1.0758
H -1.9297 -2.0545 1.1093
H 0.4239 -1.1000 -1.2015
*
```

Properties
HOMO, Ha: -0.314
SMILES: N[C@H]1[C@@H]2C=CC[C@]12S


Quick one: most stable of them? Q


P.
C4H6NO2 | ωB97M-V with the def2-TZVPD basis set

ORCA input file:
```
! RIJCOSX wB97M-V def2-TZVPD def2/J DEFGRID3
* xyz 1 1
O 0.0085 1.3306 1.0933
O -0.2091 -0.7271 -0.0530
N -0.2398 -0.1459 -1.1864
C -0.0828 -0.6961 2.4445
C -0.3251 -0.2161 -2.4579
C -0.0350 0.1826 1.3101
C 0.4255 0.9708 -1.8451
H 0.9091 -1.2050 2.4344
H -0.0134 1.9686 -1.9079
H 1.5755 0.9606 -2.0116
H -0.7556 -0.8292 -3.2342
H -0.4648 -0.0605 3.2945
H -0.7930 -1.5332 2.1195
*
```

Properties
HOMO, Ha: -0.572
SMILES: CC(=O)O[N+]1=CC1


Q.
C4H6NO2 | ωB97M-V with the def2-TZVPD basis set

ORCA input file:
- - -
== End of the molecular data ==
Again our conserveitive values under attack!!!
Wonder, what Moron Liberal ordered that one, if it had been BLM Morons congregating , nothing would have been done, this restaurant should be boycotted
I, a citizen of The UNITED STATES of AMERICA, am calling for the immediate arrest and trial of Barack Hussein Obama for treason, under Article 3 section 3 of the United States Constitution, for aiding and giving comfort to our enemies. If you agree, please copy and re-post.
THIS is out right Bigotry blacks can riot in the streets but white consertatives plan a meeting and get the full police department ,
Well, K O’Donalds restaurant may be looking for a new way to make a living. There is a saying that goes like this: If your customer is satisfied & pleased with your service, he/she will tell 3-5 people and if your customer is dissatisfied, he/she will tell at least 200 people. O’Donald’s doesn’t look to good from this angle.